[Excerpt]
+++
This entry pairs a crystal structure of PuTa2Ti6 with its simulated X-ray diffraction stick pattern. Radiation: Cu Kα (λ = 1.5418 Å). Structure: a DFT-relaxed cell (GGA-PBE, Alexandria).

Cell and atoms:
```
PuTa2Ti6
1.0
7.272 0.000 0.000
0.000 2.843 0.000
-1.730 0.000 7.852
Pu Ta Ti
1 2 6
Direct
0.000 0.000 0.000 Pu
0.358 0.500 0.229 Ta
0.642 0.500 0.771 Ta
0.001 0.500 0.335 Ti
0.321 0.000 0.541 Ti
0.334 0.000 0.891 Ti
0.666 0.000 0.109 Ti
0.679 0.000 0.459 Ti
0.999 0.500 0.665 Ti
```

The 10 most intense peaks (2θ from 10° to 90°), in order of falling intensity:
| hkl | d (Å) | 2θ/deg | intensity |
| --- | --- | --- | --- |
| 1 0 3 | 2.302 | 39.13 | 100 |
| 2 0 -3 | 2.365 | 38.04 | 88 |
| 1 0 -1 | 5.941 | 14.91 | 73 |
| 1 1 1 | 2.444 | 36.78 | 59 |
| 2 1 -1 | 2.215 | 40.73 | 55 |
| 0 0 1 | 7.852 | 11.27 | 46 |
| 1 0 -2 | 3.799 | 23.41 | 32 |
| 3 1 -2 | 1.766 | 51.77 | 26 |
| 2 0 1 | 3.002 | 29.76 | 25 |
| 2 2 -3 | 1.218 | 78.50 | 21 |

=====

Diffraction record for Ba2Ni5Ge4. The X-ray diffraction stick pattern is simulated, not measured: it uses the PBE geometry in the Materials Project and Cu Ka.
Kinematic intensities with the Lorentz-polarization factor, no thermal factor.

Atomic structure:
```
data_Ba2Ni5Ge4
_chemical_formula_sum 'Ba4 Ni10 Ge8'
_symmetry_space_group_name_H-M 'C 1 2/m 1'
_symmetry_Int_Tables_number 12
_symmetry_space_group_name_Hall '-C 2y'
_cell_length_a 12.5265
_cell_length_b 4.0405
_cell_length_c 9.6743
_cell_angle_alpha 90.00
_cell_angle_beta 119.00
_cell_angle_gamma 90.00
loop_
_atom_site_label
_atom_site_fract_x
_atom_site_fract_y
_atom_site_fract_z
_atom_site_occupancy
Ba1 0.1777 0.0000 0.1449 1
Ni1 0.0000 0.5000 0.5000 1
Ni2 0.0349 0.0000 0.6972 1
Ni3 0.1639 0.5000 0.4243 1
Ge1 0.0316 0.5000 0.8086 1
Ge2 0.1420 0.0000 0.5519 1
```

Most intense lines, 2θ = 5–70°, low angle first:
index, d/Å, I_rel
0 0 1, 8.462, 88
1 1 -2, 3.093, 100
4 0 -2, 3.079, 97
3 1 0, 2.709, 59
1 1 2, 2.614, 100
3 1 -3, 2.441, 82
4 0 1, 2.299, 57
0 2 0, 2.020, 81
5 1 -4, 1.877, 65
1 1 -5, 1.652, 52
+++

[To do]
Find "1.0" and "_cell_angle_beta 119.00" in the calculation results above, and give back these two lines and those between.

[Result]
1.0
7.272 0.000 0.000
0.000 2.843 0.000
-1.730 0.000 7.852
Pu Ta Ti
1 2 6
Direct
0.000 0.000 0.000 Pu
0.358 0.500 0.229 Ta
0.642 0.500 0.771 Ta
0.001 0.500 0.335 Ti
0.321 0.000 0.541 Ti
0.334 0.000 0.891 Ti
0.666 0.000 0.109 Ti
0.679 0.000 0.459 Ti
0.999 0.500 0.665 Ti
```

The 10 most intense peaks (2θ from 10° to 90°), in order of falling intensity:
| hkl | d (Å) | 2θ/deg | intensity |
| --- | --- | --- | --- |
| 1 0 3 | 2.302 | 39.13 | 100 |
| 2 0 -3 | 2.365 | 38.04 | 88 |
| 1 0 -1 | 5.941 | 14.91 | 73 |
| 1 1 1 | 2.444 | 36.78 | 59 |
| 2 1 -1 | 2.215 | 40.73 | 55 |
| 0 0 1 | 7.852 | 11.27 | 46 |
| 1 0 -2 | 3.799 | 23.41 | 32 |
| 3 1 -2 | 1.766 | 51.77 | 26 |
| 2 0 1 | 3.002 | 29.76 | 25 |
| 2 2 -3 | 1.218 | 78.50 | 21 |

=====

Diffraction record for Ba2Ni5Ge4. The X-ray diffraction stick pattern is simulated, not measured: it uses the PBE geometry in the Materials Project and Cu Ka.
Kinematic intensities with the Lorentz-polarization factor, no thermal factor.

Atomic structure:
```
data_Ba2Ni5Ge4
_chemical_formula_sum 'Ba4 Ni10 Ge8'
_symmetry_space_group_name_H-M 'C 1 2/m 1'
_symmetry_Int_Tables_number 12
_symmetry_space_group_name_Hall '-C 2y'
_cell_length_a 12.5265
_cell_length_b 4.0405
_cell_length_c 9.6743
_cell_angle_alpha 90.00
_cell_angle_beta 119.00